To do:
Work out how many lines underneath have the word "Kα2" in them; a number is enough.
File:
/*
Starting from a structure optimized by DFT (GGA-PBE), the XRD peak list of Sn4Pb3Se8 was calculated for Cu Kα.

Crystal structure
a = 12.1897 Å, b = 12.1954 Å, c = 8.5877 Å
α = 90.00°, β = 134.77°, γ = 90.00°
Space group C2/m (No. 12)
Unique sites:
Sn (0.0000, 0.0000, 0.0000) [2 per cell]
Sn (0.0000, 0.0000, 0.5000) [2 per cell]
Sn (0.2500, 0.2500, 0.0000) [4 per cell]
Pb (0.0000, 0.5000, 0.0000) [2 per cell]
Pb (0.2500, 0.2500, 0.5000) [4 per cell]
Se (0.0000, 0.2287, 0.5000) [4 per cell]
Se (0.0000, 0.2473, 0.0000) [4 per cell]
Se (0.2252, 0.0000, 0.4951) [4 per cell]
Se (0.2278, 0.0000, 0.9602) [4 per cell]

Largest 6 diffraction maxima, sorted by position, 2θ = 10–90°:
hkl 1 1 -1, 2θ = 12.6°, I = 13; hkl 0 0 2, 2θ = 29.3°, I = 100; hkl 0 4 2, 2θ = 41.9°, I = 50; hkl 4 4 0, 2θ = 51.8°, I = 13; hkl 4 4 -4, 2θ = 52.1°, I = 13; hkl 0 4 4, 2θ = 68.9°, I = 22

=====

For Te6MoW3Se2, a PBE-relaxed structure gives the computed powder diffraction line list in this record (Cu Kα (weighted mean of Kα1 and Kα2)).

Atomic structure:
Unit cell a=3.4930 b=3.4930 c=29.5264 alpha=90.00 beta=90.00 gamma=120.00
Element x y z (fractional)
Te (0.0000, 0.0000, 0.0000)
Te (0.0000, 0.0000, 0.1242)
Te (0.6667, 0.3333, 0.2540)
Te (0.6667, 0.3333, 0.3788)
Te (0.6667, 0.3333, 0.7450)
Te (0.6667, 0.3333, 0.8699)
Mo (0.6667, 0.3333, 0.0621)
W (0.0000, 0.0000, 0.3164)
W (0.0000, 0.0000, 0.8075)
W (0.6667, 0.3333, 0.5618)
Se (0.0000, 0.0000, 0.5068)
Se (0.0000, 0.0000, 0.6168)

Principal peaks in the range 2θ = 15–90°, sorted by position:
| 2theta | I/Imax |
| --- | --- |
| 29.5 | 41 |
| 32.0 | 14 |
| 34.8 | 100 |
| 42.8 | 63 |
| 52.4 | 33 |
| 53.9 | 11 |
| 64.4 | 17 |
| 69.9 | 15 |
| 74.9 | 19 |
| 87.6 | 15 |
*/
Result:
1